Simulated XRD peak list
Compound: Ce2PmZrP4
Radiation: CuKα
Structure: a structure optimized by DFT (PBE)

Peak list (10 most intense, 10 to 90 degrees two-theta, sorted by position)
d/Å, I_rel, hkl
3.267, 72.9, 0 0 2
2.829, 100.0, 1 1 1
2.002, 35.9, 1 1 -3
1.999, 35.9, 0 2 0
1.708, 14.8, 1 1 3
1.705, 20.4, 4 0 -2
1.633, 18.7, 2 2 -2
1.415, 11.4, 2 2 2
1.267, 10.4, 0 2 4
1.265, 21.0, 1 3 1

Crystal structure
```
Ce2PmZrP4
1.0
6.924 0.000 0.000
0.000 3.997 0.000
-2.297 0.000 6.546
Ce Pm Zr P
2 1 1 4
Direct
0.000 0.000 0.000 Ce
0.000 0.500 0.500 Ce
0.500 0.000 0.500 Pm
0.500 0.500 0.000 Zr
0.254 0.500 0.239 P
0.262 0.000 0.765 P
0.738 0.000 0.235 P
0.746 0.500 0.761 P
```

Could you start at the top of the data further above and retype each line, ending with the one that has "1.267, 10.4,"?

Simulated XRD peak list
Compound: Ce2PmZrP4
Radiation: CuKα
Structure: a structure optimized by DFT (PBE)

Peak list (10 most intense, 10 to 90 degrees two-theta, sorted by position)
d/Å, I_rel, hkl
3.267, 72.9, 0 0 2
2.829, 100.0, 1 1 1
2.002, 35.9, 1 1 -3
1.999, 35.9, 0 2 0
1.708, 14.8, 1 1 3
1.705, 20.4, 4 0 -2
1.633, 18.7, 2 2 -2
1.415, 11.4, 2 2 2
1.267, 10.4, 0 2 4